### Work order
Quote the lines below from the first line to the one with "38.74°, rel." without additions.
### Data
........
NaNbZnP2SO12: calculated powder XRD pattern (Cu Kα X-rays), based on DFT lattice parameters and positions (GGA-PBE).
Peak positions follow from Bragg's law for the DFT cell and can differ from measured ones.

Principal peaks in the range 10 to 90 degrees two-theta, by angle:
2θ/deg, I (rel.)
14.04, 34
19.53, 64
20.27, 82
23.46, 100
28.29, 48
31.23, 85
35.05, 15
35.45, 24
47.95, 20
48.06, 13
51.31, 22
55.44, 17

Atomic structure:
Unit cell a=8.7543 b=8.7543 c=9.1083 alpha=118.75 beta=118.75 gamma=60.19
Positions (direct):
Na (0.2418, 0.7582, 0.5000)
Na (0.7582, 0.2418, 0.0000)
Nb (0.3994, 0.8984, 0.9586)
Nb (0.8984, 0.3994, 0.4586)
Zn (0.0902, 0.6163, 0.0766)
Zn (0.6163, 0.0902, 0.5766)
P (0.0019, 0.2211, 0.7793)
P (0.2211, 0.0019, 0.2793)
P (0.7182, 0.8011, 0.7779)
P (0.8011, 0.7182, 0.2779)
S (0.2980, 0.5020, 0.7756)
S (0.5020, 0.2980, 0.2756)
O (0.0386, 0.1834, 0.2954)
O (0.0418, 0.3791, 0.9413)
O (0.1302, 0.4813, 0.6128)
O (0.1834, 0.0386, 0.7954)
O (0.1866, 0.8358, 0.2509)
O (0.2519, 0.9792, 0.1084)
O (0.2704, 0.5338, 0.9334)
O (0.3113, 0.6762, 0.7866)
O (0.3478, 0.4664, 0.2495)
O (0.3791, 0.0418, 0.4413)
O (0.4664, 0.3478, 0.7495)
O (0.4813, 0.1302, 0.1128)
O (0.5338, 0.2704, 0.4334)
O (0.5380, 0.8141, 0.7945)
O (0.6223, 0.7527, 0.1088)
O (0.6752, 0.9792, 0.7545)
O (0.6762, 0.3113, 0.2866)
O (0.7527, 0.6223, 0.6088)
O (0.7723, 0.8803, 0.4386)
O (0.8141, 0.5380, 0.2945)
O (0.8358, 0.1866, 0.7509)
O (0.8803, 0.7723, 0.9386)
O (0.9792, 0.2519, 0.6084)
O (0.9792, 0.6752, 0.2545)


(1)
The following is a computed X-ray powder pattern of NdTl2Hg2Se4. It was derived from a crystal structure in Alexandria, relaxed with PBE, using a wavelength of 1.5418 Å.
No peak broadening, texture or thermal motion is included.

Crystal structure
```
9
Lattice="8.2227 -2.1409 0.0000 8.2227 2.1409 0.0000 -3.4681 0.0000 7.5951" Properties=species:S:1:pos:R:3 pbc="T T T"
Nd 0.0000 0.0000 0.0000
Tl 0.0873 0.0000 4.1876
Tl 12.8900 0.0000 3.4075
Hg 1.6921 0.0000 7.3576
Hg 11.2852 0.0000 0.2376
Se 2.3664 0.0000 1.8881
Se 7.0666 0.0000 1.7392
Se 5.9107 0.0000 5.8559
Se 10.6109 0.0000 5.7070
```

Peak list (10 most intense, 10 to 90 degrees two-theta, most intense first)
- 2θ = 32.80°, rel. 100.0
- 2θ = 31.01°, rel. 89.1
- 2θ = 26.77°, rel. 81.5
- 2θ = 30.72°, rel. 59.4
- 2θ = 23.41°, rel. 56.3
- 2θ = 42.21°, rel. 47.6
- 2θ = 38.74°, rel. 45.2
- 2θ = 39.60°, rel. 33.3
- 2θ = 36.21°, rel. 32.2
- 2θ = 53.11°, rel. 25.7

(2)
The following is a computed X-ray powder pattern of ThReW. It was derived from a crystal structure in Alexandria, relaxed with PBE, using a wavelength of 1.5418 Å.
No peak broadening, texture or thermal motion is included.

Crystal structure
```
12
Lattice="0.0000 4.6838 9.7616 2.6811 0.0000 9.7616 2.6811 4.6838 0.0000" Properties=species:S:1:pos:R:3 pbc="T T T"
Th 2.0108 0.4508 7.3212
Th 3.3514 2.7927 12.2020
Th 2.0108 6.5749 7.3212
Th 3.3514 8.9167 12.2020
Re 2.0108 3.5128 6.0578
Re 2.0108 3.5128 8.5846
Re 3.3514 5.8547 10.9386
Re 3.3514 5.8547 13.4654
W 2.0108 3.5128 0.0136
W 3.3514 5.8547 4.8944
W 2.0108 3.5128 14.6288
W 3.3514 5.8547 19.5096
```

Peak list (10 most intense, 10 to 90 degrees two-theta, most intense first)
- 2θ = 36.03°, rel. 100.0
- 2θ = 33.53°, rel. 97.1
- 2θ = 37.60°, rel. 87.8
- 2θ = 34.70°, rel. 77.9
- 2θ = 43.07°, rel. 72.3
- 2θ = 46.17°, rel. 43.7
- 2θ = 69.70°, rel. 29.6
- 2θ = 40.64°, rel. 29.5
- 2θ = 38.70°, rel. 27.1
- 2θ = 42.83°, rel. 26.5

(3)
The following is a computed X-ray powder pattern of ThBr4. It was derived from a crystal structure in Alexandria, relaxed with PBE, using a wavelength of 1.5418 Å.
No peak broadening, texture or thermal motion is included.

Crystal structure
```
10
Lattice="6.6010 0.0000 0.0000 0.0000 6.6010 0.0000 0.0000 0.0000 7.1994" Properties=species:S:1:pos:R:3 pbc="T T T"
Th 0.0000 0.0000 0.0000
Th 3.3005 3.3005 3.5997
Br 1.2460 1.6876 2.4895
Br 1.6129 2.0545 6.0892
Br 1.6876 5.3550 4.7099
Br 2.0545 4.9881 1.1102
Br 4.5465 1.6129 1.1102
Br 4.9134 1.2460 4.7099
........
### Outcome
NaNbZnP2SO12: calculated powder XRD pattern (Cu Kα X-rays), based on DFT lattice parameters and positions (GGA-PBE).
Peak positions follow from Bragg's law for the DFT cell and can differ from measured ones.

Principal peaks in the range 10 to 90 degrees two-theta, by angle:
2θ/deg, I (rel.)
14.04, 34
19.53, 64
20.27, 82
23.46, 100
28.29, 48
31.23, 85
35.05, 15
35.45, 24
47.95, 20
48.06, 13
51.31, 22
55.44, 17

Atomic structure:
Unit cell a=8.7543 b=8.7543 c=9.1083 alpha=118.75 beta=118.75 gamma=60.19
Positions (direct):
Na (0.2418, 0.7582, 0.5000)
Na (0.7582, 0.2418, 0.0000)
Nb (0.3994, 0.8984, 0.9586)
Nb (0.8984, 0.3994, 0.4586)
Zn (0.0902, 0.6163, 0.0766)
Zn (0.6163, 0.0902, 0.5766)
P (0.0019, 0.2211, 0.7793)
P (0.2211, 0.0019, 0.2793)
P (0.7182, 0.8011, 0.7779)
P (0.8011, 0.7182, 0.2779)
S (0.2980, 0.5020, 0.7756)
S (0.5020, 0.2980, 0.2756)
O (0.0386, 0.1834, 0.2954)
O (0.0418, 0.3791, 0.9413)
O (0.1302, 0.4813, 0.6128)
O (0.1834, 0.0386, 0.7954)
O (0.1866, 0.8358, 0.2509)
O (0.2519, 0.9792, 0.1084)
O (0.2704, 0.5338, 0.9334)
O (0.3113, 0.6762, 0.7866)
O (0.3478, 0.4664, 0.2495)
O (0.3791, 0.0418, 0.4413)
O (0.4664, 0.3478, 0.7495)
O (0.4813, 0.1302, 0.1128)
O (0.5338, 0.2704, 0.4334)
O (0.5380, 0.8141, 0.7945)
O (0.6223, 0.7527, 0.1088)
O (0.6752, 0.9792, 0.7545)
O (0.6762, 0.3113, 0.2866)
O (0.7527, 0.6223, 0.6088)
O (0.7723, 0.8803, 0.4386)
O (0.8141, 0.5380, 0.2945)
O (0.8358, 0.1866, 0.7509)
O (0.8803, 0.7723, 0.9386)
O (0.9792, 0.2519, 0.6084)
O (0.9792, 0.6752, 0.2545)


(1)
The following is a computed X-ray powder pattern of NdTl2Hg2Se4. It was derived from a crystal structure in Alexandria, relaxed with PBE, using a wavelength of 1.5418 Å.
No peak broadening, texture or thermal motion is included.

Crystal structure
```
9
Lattice="8.2227 -2.1409 0.0000 8.2227 2.1409 0.0000 -3.4681 0.0000 7.5951" Properties=species:S:1:pos:R:3 pbc="T T T"
Nd 0.0000 0.0000 0.0000
Tl 0.0873 0.0000 4.1876
Tl 12.8900 0.0000 3.4075
Hg 1.6921 0.0000 7.3576
Hg 11.2852 0.0000 0.2376
Se 2.3664 0.0000 1.8881
Se 7.0666 0.0000 1.7392
Se 5.9107 0.0000 5.8559
Se 10.6109 0.0000 5.7070
```

Peak list (10 most intense, 10 to 90 degrees two-theta, most intense first)
- 2θ = 32.80°, rel. 100.0
- 2θ = 31.01°, rel. 89.1
- 2θ = 26.77°, rel. 81.5
- 2θ = 30.72°, rel. 59.4
- 2θ = 23.41°, rel. 56.3
- 2θ = 42.21°, rel. 47.6
- 2θ = 38.74°, rel. 45.2